(Entries)
┌──
## MgZn4Co6O16 (PBE+U)

Data for crystalline MgZn4Co6O16 at its relaxed geometry.

CIF file:
```
data_MgZn4Co6O16
_chemical_formula_sum 'Mg1 Zn4 Co6 O16'
_space_group_name_H-M_alt 'P 1'
_space_group_IT_number 1
_space_group_name_Hall 'P 1'
_cell_length_a 5.9078
_cell_length_b 5.8887
_cell_length_c 9.6437
_cell_angle_alpha 90.43
_cell_angle_beta 90.06
_cell_angle_gamma 120.80
loop_
_atom_site_label
_atom_site_fract_x
_atom_site_fract_y
_atom_site_fract_z
_atom_site_occupancy
O1 0.9747 0.4481 0.8683 1
Zn1 0.3195 0.6620 0.5323 1
Co1 0.8309 0.6698 0.7336 1
Zn2 0.6614 0.3346 0.4234 1
O2 0.0011 0.9823 0.8382 1
O3 0.0211 0.0104 0.3496 1
O4 0.6695 0.3537 0.6281 1
Co2 0.3340 0.1725 0.7337 1
O5 0.5145 0.0390 0.8648 1
Co3 0.1668 0.3347 0.2522 1
O6 0.0332 0.5155 0.3586 1
O7 0.3228 0.6618 0.1440 1
O8 0.3130 0.1571 0.1466 1
O9 0.1293 0.8147 0.6367 1
O10 0.6692 0.8688 0.6395 1
Zn3 0.3438 0.6693 0.9220 1
Co4 0.8332 0.1686 0.7404 1
O11 0.5546 0.5117 0.8663 1
O12 0.1620 0.3252 0.6443 1
O13 0.8493 0.1588 0.1459 1
O14 0.4688 0.5096 0.3671 1
Mg1 0.9914 0.9900 0.0289 1
Co5 0.6652 0.8306 0.2639 1
Co6 0.1691 0.8329 0.2522 1
O15 0.8554 0.6784 0.1454 1
O16 0.4646 0.9642 0.3688 1
Zn4 0.6815 0.3357 0.0279 1
```

The value obtained for the energy relative to the lowest polymorph listed for this composition is 0 meV per atom. For the total energy, the calculation gives -5.35 eV per atom. Its energy of formation is -1.360 eV/atom.

## Co5SnB2O10 (PBE+U)

Data for crystalline Co5SnB2O10 at its relaxed geometry.

CIF file:
```
data_Co5SnB2O10
_chemical_formula_sum 'Co10 Sn2 B4 O20'
_space_group_name_H-M_alt 'P 1'
_space_group_IT_number 1
_space_group_name_Hall 'P 1'
_cell_length_a 3.1832
_cell_length_b 9.5180
_cell_length_c 12.4654
_cell_angle_alpha 90.00
_cell_angle_beta 90.00
_cell_angle_gamma 90.00
loop_
_atom_site_label
_atom_site_fract_x
_atom_site_fract_y
_atom_site_fract_z
_atom_site_occupancy
O1 0.0000 0.3781 0.1385 1
Co1 0.5000 0.2680 0.2196 1
O2 0.5000 0.8672 0.5830 1
O3 0.5000 0.3559 0.3568 1
Sn1 0.0000 0.9918 0.1153 1
Co2 0.5000 0.7320 0.7196 1
B1 0.0000 0.9811 0.8616 1
O4 0.0000 0.5981 0.2352 1
Co3 0.5000 0.7334 0.9978 1
Co4 0.0000 0.4877 0.3837 1
O5 0.0000 0.9031 0.9579 1
O6 0.0000 0.1249 0.8589 1
Co5 0.0000 0.7338 0.4946 1
B2 0.0000 0.5256 0.1388 1
B3 0.0000 0.0189 0.3616 1
O7 0.0000 0.9038 0.7654 1
Co6 0.0000 0.2662 0.9946 1
O8 0.5000 0.3588 0.9233 1
O9 0.0000 0.6008 0.0434 1
O10 0.5000 0.6412 0.4233 1
O11 0.0000 0.3992 0.5434 1
O12 0.0000 0.0962 0.2654 1
O13 0.5000 0.8540 0.1430 1
Co7 0.5000 0.2631 0.7831 1
Co8 0.5000 0.2666 0.4978 1
O14 0.0000 0.0969 0.4579 1
O15 0.5000 0.1460 0.6430 1
Co9 0.0000 0.5123 0.8837 1
Sn2 0.0000 0.0082 0.6153 1
Co10 0.5000 0.7369 0.2831 1
O16 0.0000 0.8751 0.3589 1
O17 0.5000 0.6441 0.8568 1
O18 0.0000 0.4019 0.7352 1
O19 0.5000 0.1328 0.0830 1
O20 0.0000 0.6219 0.6385 1
B4 0.0000 0.4744 0.6388 1
```

For the total energy, the calculation gives -6.69 eV per atom. Its energy of formation is -1.835 eV/atom.

Magnetization, respectively: 12.2, 30.0 Bohr magnetons per cell.
Calculated density, respectively: 5.160, 5.232 g/cm³.

=====

Compound: CsAlH24Se2O20
Source: the Materials Project
Functional: r²SCAN
Structure: optimized geometry

a b c (Å): 12.4751 12.4751 12.4751
angles (deg): 90.00 90.00 90.00
With the nearest neighbours (Å) after each atom.
Space group Pa-3 (No. 205)
One atom of each set of equivalent atoms:
Cs 0.0000 0.0000 0.0000 [4 per cell]  6 O 3.19
Al 0.0000 0.0000 0.5000 [4 per cell]  6 O 1.88
H 0.0024 0.1981 0.7750 [24 per cell]  1 O 0.99
H 0.0246 0.5481 0.7986 [24 per cell]  1 O 1.01
H 0.0337 0.0809 0.3143 [24 per cell]  1 O 0.99
H 0.1172 0.6656 0.7205 [24 per cell]  1 O 0.98
Se 0.1899 0.1899 0.1899 [8 per cell]  4 O 1.65-1.66
O 0.0134 0.0132 0.3503 [24 per cell]  2 H 0.99-1.01
O 0.0448 0.6363 0.7114 [24 per cell]  2 H 0.98-0.99
O 0.0670 0.1857 0.2392 [24 per cell]  1 Se 1.65, 2 H 1.66-1.72
O 0.2333 0.7333 0.7667 [8 per cell]  1 Se 1.66, 3 H 1.77

Values from the calculation:
└──

(Job)
It remains to reproduce everything further up without altering anything.

(Result)
## MgZn4Co6O16 (PBE+U)

Data for crystalline MgZn4Co6O16 at its relaxed geometry.

CIF file:
```
data_MgZn4Co6O16
_chemical_formula_sum 'Mg1 Zn4 Co6 O16'
_space_group_name_H-M_alt 'P 1'
_space_group_IT_number 1
_space_group_name_Hall 'P 1'
_cell_length_a 5.9078
_cell_length_b 5.8887
_cell_length_c 9.6437
_cell_angle_alpha 90.43
_cell_angle_beta 90.06
_cell_angle_gamma 120.80
loop_
_atom_site_label
_atom_site_fract_x
_atom_site_fract_y
_atom_site_fract_z
_atom_site_occupancy
O1 0.9747 0.4481 0.8683 1
Zn1 0.3195 0.6620 0.5323 1
Co1 0.8309 0.6698 0.7336 1
Zn2 0.6614 0.3346 0.4234 1
O2 0.0011 0.9823 0.8382 1
O3 0.0211 0.0104 0.3496 1
O4 0.6695 0.3537 0.6281 1
Co2 0.3340 0.1725 0.7337 1
O5 0.5145 0.0390 0.8648 1
Co3 0.1668 0.3347 0.2522 1
O6 0.0332 0.5155 0.3586 1
O7 0.3228 0.6618 0.1440 1
O8 0.3130 0.1571 0.1466 1
O9 0.1293 0.8147 0.6367 1
O10 0.6692 0.8688 0.6395 1
Zn3 0.3438 0.6693 0.9220 1
Co4 0.8332 0.1686 0.7404 1
O11 0.5546 0.5117 0.8663 1
O12 0.1620 0.3252 0.6443 1
O13 0.8493 0.1588 0.1459 1
O14 0.4688 0.5096 0.3671 1
Mg1 0.9914 0.9900 0.0289 1
Co5 0.6652 0.8306 0.2639 1
Co6 0.1691 0.8329 0.2522 1
O15 0.8554 0.6784 0.1454 1
O16 0.4646 0.9642 0.3688 1
Zn4 0.6815 0.3357 0.0279 1
```

The value obtained for the energy relative to the lowest polymorph listed for this composition is 0 meV per atom. For the total energy, the calculation gives -5.35 eV per atom. Its energy of formation is -1.360 eV/atom.

## Co5SnB2O10 (PBE+U)

Data for crystalline Co5SnB2O10 at its relaxed geometry.

CIF file:
```
data_Co5SnB2O10
_chemical_formula_sum 'Co10 Sn2 B4 O20'
_space_group_name_H-M_alt 'P 1'
_space_group_IT_number 1
_space_group_name_Hall 'P 1'
_cell_length_a 3.1832
_cell_length_b 9.5180
_cell_length_c 12.4654
_cell_angle_alpha 90.00
_cell_angle_beta 90.00
_cell_angle_gamma 90.00
loop_
_atom_site_label
_atom_site_fract_x
_atom_site_fract_y
_atom_site_fract_z
_atom_site_occupancy
O1 0.0000 0.3781 0.1385 1
Co1 0.5000 0.2680 0.2196 1
O2 0.5000 0.8672 0.5830 1
O3 0.5000 0.3559 0.3568 1
Sn1 0.0000 0.9918 0.1153 1
Co2 0.5000 0.7320 0.7196 1
B1 0.0000 0.9811 0.8616 1
O4 0.0000 0.5981 0.2352 1
Co3 0.5000 0.7334 0.9978 1
Co4 0.0000 0.4877 0.3837 1
O5 0.0000 0.9031 0.9579 1
O6 0.0000 0.1249 0.8589 1
Co5 0.0000 0.7338 0.4946 1
B2 0.0000 0.5256 0.1388 1
B3 0.0000 0.0189 0.3616 1
O7 0.0000 0.9038 0.7654 1
Co6 0.0000 0.2662 0.9946 1
O8 0.5000 0.3588 0.9233 1
O9 0.0000 0.6008 0.0434 1
O10 0.5000 0.6412 0.4233 1
O11 0.0000 0.3992 0.5434 1
O12 0.0000 0.0962 0.2654 1
O13 0.5000 0.8540 0.1430 1
Co7 0.5000 0.2631 0.7831 1
Co8 0.5000 0.2666 0.4978 1
O14 0.0000 0.0969 0.4579 1
O15 0.5000 0.1460 0.6430 1
Co9 0.0000 0.5123 0.8837 1
Sn2 0.0000 0.0082 0.6153 1
Co10 0.5000 0.7369 0.2831 1
O16 0.0000 0.8751 0.3589 1
O17 0.5000 0.6441 0.8568 1
O18 0.0000 0.4019 0.7352 1
O19 0.5000 0.1328 0.0830 1
O20 0.0000 0.6219 0.6385 1
B4 0.0000 0.4744 0.6388 1
```

For the total energy, the calculation gives -6.69 eV per atom. Its energy of formation is -1.835 eV/atom.

Magnetization, respectively: 12.2, 30.0 Bohr magnetons per cell.
Calculated density, respectively: 5.160, 5.232 g/cm³.

=====

Compound: CsAlH24Se2O20
Source: the Materials Project
Functional: r²SCAN
Structure: optimized geometry

a b c (Å): 12.4751 12.4751 12.4751
angles (deg): 90.00 90.00 90.00
With the nearest neighbours (Å) after each atom.
Space group Pa-3 (No. 205)
One atom of each set of equivalent atoms:
Cs 0.0000 0.0000 0.0000 [4 per cell]  6 O 3.19
Al 0.0000 0.0000 0.5000 [4 per cell]  6 O 1.88
H 0.0024 0.1981 0.7750 [24 per cell]  1 O 0.99
H 0.0246 0.5481 0.7986 [24 per cell]  1 O 1.01
H 0.0337 0.0809 0.3143 [24 per cell]  1 O 0.99
H 0.1172 0.6656 0.7205 [24 per cell]  1 O 0.98
Se 0.1899 0.1899 0.1899 [8 per cell]  4 O 1.65-1.66
O 0.0134 0.0132 0.3503 [24 per cell]  2 H 0.99-1.01
O 0.0448 0.6363 0.7114 [24 per cell]  2 H 0.98-0.99
O 0.0670 0.1857 0.2392 [24 per cell]  1 Se 1.65, 2 H 1.66-1.72
O 0.2333 0.7333 0.7667 [8 per cell]  1 Se 1.66, 3 H 1.77

Values from the calculation: